Return everything below word for word, please.

=====
1.
# Na2InBiO4

A geometry-optimized Na2InBiO4 structure (PBE, the Alexandria database).

Cell lengths 5.9525, 3.4112, 5.9648 Å; angles 90.00, 109.40, 90.00 degrees
Fractional coordinates of all 8 atoms:
Na1 0.0000 0.0000 0.0000
Na2 0.5000 0.5000 0.0000
In1 0.0000 0.5000 0.5000
Bi1 0.5000 0.0000 0.5000
O1 0.2247 0.0000 0.7161
O2 0.2376 0.5000 0.2757
O3 0.7624 0.5000 0.7243
O4 0.7753 0.0000 0.2839

Output
* uncorrected formation energy: -1.456 eV/atom
* E: -40.74 eV for the cell shown

---

2.
# TmMgPt

A geometry-optimized TmMgPt structure (PBE, the Alexandria database).

Cell lengths 5.6767, 5.6767, 5.6767 Å; angles 143.96, 143.96, 51.89 degrees
Fractional coordinates of all 3 atoms:
Tm1 0.0000 0.0000 0.0000
Mg1 0.7111 0.7111 0.0000
Pt1 0.3535 0.3535 0.0000

Output
* formation enthalpy at 0 K: -781 meV/atom
* E: -14.45 eV for the cell shown

---

no.,magnetization (μB per atom)
1,0.00
2,0.00

* * * * *

1.
# Pm2MgAl2Ir5 | the Alexandria database | GGA-PBE | relaxed
# Calculated formation energy, meV/atom: -621
# M_tot, μB/atom: 0.0000
# Crystal system: tetragonal
data_Pm2MgAl2Ir5
_chemical_formula_sum 'Pm4 Mg2 Al4 Ir10'
_space_group_name_H-M_alt 'P 4/m b m'
_space_group_IT_number 127
_space_group_name_Hall '-P 4 2ab'
_cell_length_a 10.050
_cell_length_b 10.050
_cell_length_c 3.506
_cell_angle_alpha 90.00
_cell_angle_beta 90.00
_cell_angle_gamma 90.00
loop_
_atom_site_label
_atom_site_type_symbol
_atom_site_fract_x
_atom_site_fract_y
_atom_site_fract_z
Pm1 Pm 0.176 0.324 0.000
Mg1 Mg 0.000 0.000 0.000
Al1 Al 0.123 0.623 0.000
Ir1 Ir 0.000 0.500 0.500
Ir2 Ir 0.064 0.791 0.500

=====

2.
# CaRe4P | the Alexandria database | GGA-PBE | relaxed
# Calculated formation energy, meV/atom: 607
# M_tot, μB/atom: 0.0000
# Crystal system: cubic
data_CaRe4P
_chemical_formula_sum 'Ca4 Re16 P4'
_space_group_name_H-M_alt 'F -4 3 m'
_space_group_IT_number 216
_space_group_name_Hall 'F -4 2 3'
_cell_length_a 7.499
_cell_length_b 7.499
_cell_length_c 7.499
_cell_angle_alpha 90.00
_cell_angle_beta 90.00
_cell_angle_gamma 90.00
loop_
_atom_site_label
_atom_site_type_symbol
_atom_site_fract_x
_atom_site_fract_y
_atom_site_fract_z
Ca1 Ca 0.000 0.000 0.000
Re1 Re 0.124 0.124 0.376
P1 P 0.250 0.250 0.750

=====

3.
# Sr2TmN | the Alexandria database | GGA-PBE | relaxed
# Raw formation energy, eV per atom: -0.19
# M_tot, μB/atom: 0.0235
# Crystal system: trigonal
data_Sr2TmN
_chemical_formula_sum 'Sr6 Tm3 N3'
_space_group_name_H-M_alt 'R -3 m'
_space_group_IT_number 166
_space_group_name_Hall '-R 3 2"'
_cell_length_a 3.6799
_cell_length_b 3.6799
_cell_length_c 30.9448
_cell_angle_alpha 90.00
_cell_angle_beta 90.00
_cell_angle_gamma 120.00
loop_
_atom_site_label
_atom_site_type_symbol
_atom_site_fract_x
_atom_site_fract_y
_atom_site_fract_z
Sr1 Sr 0.0000 0.0000 0.1210
Tm1 Tm 0.0000 0.0000 0.0000
N1 N 0.0000 0.0000 0.5000

=====

4.
# NbSnPd14 | the Alexandria database | GGA-PBE | relaxed
# Calculated formation energy, meV/atom: -243
# M_tot, μB/atom: 0.0000
# Crystal system: tetragonal
data_NbSnPd14
_chemical_formula_sum 'Nb1 Sn1 Pd14'
_space_group_name_H-M_alt 'P 4/m m m'
_space_group_IT_number 123
_space_group_name_Hall '-P 4 2'
_cell_length_a 5.693
_cell_length_b 5.693
_cell_length_c 7.773
_cell_angle_alpha 90.00
_cell_angle_beta 90.00
_cell_angle_gamma 90.00
loop_
_atom_site_label
_atom_site_type_symbol
_atom_site_fract_x
_atom_site_fract_y
_atom_site_fract_z
Nb1 Nb 0.000 0.000 0.000
Sn1 Sn 0.500 0.500 0.000
Pd1 Pd 0.000 0.000 0.500
Pd2 Pd 0.000 0.500 0.000
Pd3 Pd 0.000 0.500 0.500
Pd4 Pd 0.247 0.247 0.247
Pd5 Pd 0.500 0.500 0.500

=====

5.
# KMnGe3 | the Alexandria database | GGA-PBE | relaxed
# Calculated formation energy, meV/atom: 146
# M_tot, μB/atom: 0.0000
# Crystal system: cubic
data_KMnGe3
_chemical_formula_sum 'K1 Mn1 Ge3'
_space_group_name_H-M_alt 'P m -3 m'
_space_group_IT_number 221
_space_group_name_Hall '-P 4 2 3'
_cell_length_a 4.731
_cell_length_b 4.731
_cell_length_c 4.731
_cell_angle_alpha 90.00
_cell_angle_beta 90.00
=====

1.
# Na2InBiO4

A geometry-optimized Na2InBiO4 structure (PBE, the Alexandria database).

Cell lengths 5.9525, 3.4112, 5.9648 Å; angles 90.00, 109.40, 90.00 degrees
Fractional coordinates of all 8 atoms:
Na1 0.0000 0.0000 0.0000
Na2 0.5000 0.5000 0.0000
In1 0.0000 0.5000 0.5000
Bi1 0.5000 0.0000 0.5000
O1 0.2247 0.0000 0.7161
O2 0.2376 0.5000 0.2757
O3 0.7624 0.5000 0.7243
O4 0.7753 0.0000 0.2839

Output
* uncorrected formation energy: -1.456 eV/atom
* E: -40.74 eV for the cell shown

---

2.
# TmMgPt

A geometry-optimized TmMgPt structure (PBE, the Alexandria database).

Cell lengths 5.6767, 5.6767, 5.6767 Å; angles 143.96, 143.96, 51.89 degrees
Fractional coordinates of all 3 atoms:
Tm1 0.0000 0.0000 0.0000
Mg1 0.7111 0.7111 0.0000
Pt1 0.3535 0.3535 0.0000

Output
* formation enthalpy at 0 K: -781 meV/atom
* E: -14.45 eV for the cell shown

---

no.,magnetization (μB per atom)
1,0.00
2,0.00

* * * * *

1.
# Pm2MgAl2Ir5 | the Alexandria database | GGA-PBE | relaxed
# Calculated formation energy, meV/atom: -621
# M_tot, μB/atom: 0.0000
# Crystal system: tetragonal
data_Pm2MgAl2Ir5
_chemical_formula_sum 'Pm4 Mg2 Al4 Ir10'
_space_group_name_H-M_alt 'P 4/m b m'
_space_group_IT_number 127
_space_group_name_Hall '-P 4 2ab'
_cell_length_a 10.050
_cell_length_b 10.050
_cell_length_c 3.506
_cell_angle_alpha 90.00
_cell_angle_beta 90.00
_cell_angle_gamma 90.00
loop_
_atom_site_label
_atom_site_type_symbol
_atom_site_fract_x
_atom_site_fract_y
_atom_site_fract_z
Pm1 Pm 0.176 0.324 0.000
Mg1 Mg 0.000 0.000 0.000
Al1 Al 0.123 0.623 0.000
Ir1 Ir 0.000 0.500 0.500
Ir2 Ir 0.064 0.791 0.500

=====

2.
# CaRe4P | the Alexandria database | GGA-PBE | relaxed
# Calculated formation energy, meV/atom: 607
# M_tot, μB/atom: 0.0000
# Crystal system: cubic
data_CaRe4P
_chemical_formula_sum 'Ca4 Re16 P4'
_space_group_name_H-M_alt 'F -4 3 m'
_space_group_IT_number 216
_space_group_name_Hall 'F -4 2 3'
_cell_length_a 7.499
_cell_length_b 7.499
_cell_length_c 7.499
_cell_angle_alpha 90.00
_cell_angle_beta 90.00
_cell_angle_gamma 90.00
loop_
_atom_site_label
_atom_site_type_symbol
_atom_site_fract_x
_atom_site_fract_y
_atom_site_fract_z
Ca1 Ca 0.000 0.000 0.000
Re1 Re 0.124 0.124 0.376
P1 P 0.250 0.250 0.750

=====

3.
# Sr2TmN | the Alexandria database | GGA-PBE | relaxed
# Raw formation energy, eV per atom: -0.19
# M_tot, μB/atom: 0.0235
# Crystal system: trigonal
data_Sr2TmN
_chemical_formula_sum 'Sr6 Tm3 N3'
_space_group_name_H-M_alt 'R -3 m'
_space_group_IT_number 166
_space_group_name_Hall '-R 3 2"'
_cell_length_a 3.6799
_cell_length_b 3.6799
_cell_length_c 30.9448
_cell_angle_alpha 90.00
_cell_angle_beta 90.00
_cell_angle_gamma 120.00
loop_
_atom_site_label
_atom_site_type_symbol
_atom_site_fract_x
_atom_site_fract_y
_atom_site_fract_z
Sr1 Sr 0.0000 0.0000 0.1210
Tm1 Tm 0.0000 0.0000 0.0000
N1 N 0.0000 0.0000 0.5000

=====

4.
# NbSnPd14 | the Alexandria database | GGA-PBE | relaxed
# Calculated formation energy, meV/atom: -243
# M_tot, μB/atom: 0.0000
# Crystal system: tetragonal
data_NbSnPd14
_chemical_formula_sum 'Nb1 Sn1 Pd14'
_space_group_name_H-M_alt 'P 4/m m m'
_space_group_IT_number 123
_space_group_name_Hall '-P 4 2'
_cell_length_a 5.693
_cell_length_b 5.693
_cell_length_c 7.773
_cell_angle_alpha 90.00
_cell_angle_beta 90.00
_cell_angle_gamma 90.00
loop_
_atom_site_label
_atom_site_type_symbol
_atom_site_fract_x
_atom_site_fract_y
_atom_site_fract_z
Nb1 Nb 0.000 0.000 0.000
Sn1 Sn 0.500 0.500 0.000
Pd1 Pd 0.000 0.000 0.500
Pd2 Pd 0.000 0.500 0.000
Pd3 Pd 0.000 0.500 0.500
Pd4 Pd 0.247 0.247 0.247
Pd5 Pd 0.500 0.500 0.500

=====

5.
# KMnGe3 | the Alexandria database | GGA-PBE | relaxed
# Calculated formation energy, meV/atom: 146
# M_tot, μB/atom: 0.0000
# Crystal system: cubic
data_KMnGe3
_chemical_formula_sum 'K1 Mn1 Ge3'
_space_group_name_H-M_alt 'P m -3 m'
_space_group_IT_number 221
_space_group_name_Hall '-P 4 2 3'
_cell_length_a 4.731
_cell_length_b 4.731
_cell_length_c 4.731
_cell_angle_alpha 90.00
_cell_angle_beta 90.00